In an argumentative essay as the word suggests, you will have to present arguments for why you agree or disagree to the topic. This is the type of essay that will ask you to take a clear stand on the topic being discussed.
You will then need to explain your position on the topic by presenting a systematic reasoning regarding the subject matter. This should be done in such a way that it is going to make it easier for the reader to understand your way of thinking.
In this blog I’m going to take you step by step on how to write an argumentative essay. You will understand the structure of an argumentative essay and how to explain yourself in the different paragraphs.
This would be the content of my blog.
- What is an argumentative essay?
- Argumentative essay sample question
- Writing structure of an argumentative essay
**Misplaced records of crystals:**
'''
Density functional theory data (PBE) for CuH8S3O10 after structural relaxation.

Lattice parameters (Å, degrees): 7.2097 20.6993 7.8998 90.00 118.05 90.00
Last column: nearest neighbours and their distance in Å.
Element x y z (fractional)
Cu (0.1676, 0.1412, 0.4812)  4 O 1.96-2.01
Cu (0.1676, 0.3588, 0.9812)  4 O 1.96-2.01
Cu (0.8324, 0.6412, 0.0188)  4 O 1.96-2.01
Cu (0.8324, 0.8588, 0.5188)  4 O 1.96-2.01
H (0.0171, 0.2491, 0.9904)  1 O 0.98
H (0.0171, 0.2509, 0.4904)  1 O 0.98
H (0.0394, 0.5466, 0.2214)  1 O 0.99
H (0.0394, 0.9534, 0.7214)  1 O 0.99
H (0.1505, 0.7137, 0.1927)  1 O 0.98
H (0.1505, 0.7863, 0.6927)  1 O 0.98
H (0.1929, 0.5933, 0.1836)  1 O 0.99
H (0.1929, 0.9067, 0.6836)  1 O 0.99
H (0.2818, 0.0224, 0.5176)  1 O 0.99
H (0.2818, 0.4776, 0.0176)  1 O 0.99
H (0.4269, 0.1909, 0.7911)  1 O 0.98
H (0.4269, 0.3091, 0.2911)  1 O 0.98
H (0.4318, 0.2342, 0.6251)  1 O 0.99
H (0.4318, 0.2658, 0.1251)  1 O 0.99
H (0.4818, 0.0696, 0.5954)  1 O 0.98
H (0.4818, 0.4304, 0.0954)  1 O 0.98
H (0.5182, 0.5696, 0.9046)  1 O 0.98
H (0.5182, 0.9304, 0.4046)  1 O 0.98
H (0.5682, 0.7342, 0.8749)  1 O 0.99
H (0.5682, 0.7658, 0.3749)  1 O 0.99
H (0.5731, 0.6909, 0.7089)  1 O 0.98
H (0.5731, 0.8091, 0.2089)  1 O 0.98
H (0.7182, 0.5224, 0.9824)  1 O 0.99
H (0.7182, 0.9776, 0.4824)  1 O 0.99
H (0.8071, 0.0933, 0.3164)  1 O 0.99
H (0.8071, 0.4067, 0.8164)  1 O 0.99
H (0.8495, 0.2137, 0.3073)  1 O 0.98
H (0.8495, 0.2863, 0.8073)  1 O 0.98
H (0.9606, 0.0466, 0.2786)  1 O 0.99
H (0.9606, 0.4534, 0.7786)  1 O 0.99
H (0.9829, 0.7491, 0.5096)  1 O 0.98
H (0.9829, 0.7509, 0.0096)  1 O 0.98
S (0.0186, 0.5911, 0.7133)  3 O 1.45-1.49
S (0.0186, 0.9089, 0.2133)  3 O 1.45-1.49
S (0.2647, 0.0588, 0.0297)  2 S 2.10-2.15
S (0.2647, 0.4412, 0.5297)  2 S 2.10-2.15
S (0.4078, 0.1435, 0.1823)  3 O 1.46-1.49
S (0.4078, 0.3565, 0.6823)  3 O 1.46-1.49
S (0.5922, 0.6435, 0.3177)  3 O 1.46-1.49
S (0.5922, 0.8565, 0.8177)  3 O 1.46-1.49
S (0.7353, 0.5588, 0.4703)  2 S 2.10-2.15
S (0.7353, 0.9412, 0.9703)  2 S 2.10-2.15
S (0.9814, 0.0911, 0.7867)  3 O 1.45-1.49
S (0.9814, 0.4089, 0.2867)  3 O 1.45-1.49
O (0.0005, 0.7226, 0.1156)  2 H 0.98
O (0.0005, 0.7774, 0.6156)  2 H 0.98
O (0.0471, 0.1454, 0.7084)  1 S 1.46
O (0.0471, 0.3546, 0.2084)  1 S 1.46
O (0.0651, 0.5314, 0.8309)  1 S 1.49
O (0.0651, 0.9686, 0.3309)  1 S 1.49
O (0.0729, 0.5926, 0.2123)  2 H 0.99
O (0.0729, 0.9074, 0.7123)  2 H 0.99
O (0.1749, 0.6066, 0.6541)  1 S 1.45
O (0.1749, 0.8934, 0.1541)  1 S 1.45
O (0.2555, 0.1785, 0.2214)  1 S 1.46
O (0.2555, 0.3215, 0.7214)  1 S 1.46
O (0.3445, 0.0625, 0.5894)  2 H 0.98-0.99
O (0.3445, 0.4375, 0.0894)  2 H 0.98-0.99
O (0.4194, 0.1893, 0.6636)  2 H 0.98-0.99
O (0.4194, 0.3107, 0.1636)  2 H 0.98-0.99
O (0.4202, 0.6129, 0.1480)  1 S 1.47
O (0.4202, 0.8871, 0.6480)  1 S 1.47
O (0.4887, 0.1846, 0.0776)  1 S 1.49
O (0.4887, 0.3154, 0.5776)  1 S 1.49
O (0.5113, 0.6846, 0.4224)  1 S 1.49
O (0.5113, 0.8154, 0.9224)  1 S 1.49
O (0.5798, 0.1129, 0.3520)  1 S 1.47
'''
- The introduction
- The body paragraphs
- The conclusion
Types of essay in MUET task 2
The Malaysian University English Test (MUET) writing task 2 will consist of only one essay question. They are going to be one of these three types of essays:
- A discursive essay
- An argumentative essay
- A problem-solution essay
The argumentative essay is one type of essay that you may get in the MUET writing task 2. You are going to have to take a stand and to write your arguments out clearly based on the statement given.
In making your stand you are going to choose whether you agree, disagree or partially agree to the subject matter.
From my experience as a teacher, I could see that in a well written argumentative essay, the student is able to engage the reader well.
This student is able to explain the issue being discussed by presenting arguments agreeing or disagreeing to the topic and considering it from different perspectives. This could also involve presenting the counter arguments for the topic. When you present a counter argument, you are giving the opposing view of what you have said before.
Let’s now look at a sample question for an argumentative essay that you may get for MUET writing task 2.
Argumentative essay sample question
This is a sample of an argumentative essay question that you can get in MUET writing task 2.
Misplaced data records:
~~~
First-principles (GGA-PBE) data for a relaxed Eu2Al3O8 crystal, as listed in the Materials Project database.

E   -0.30351 Ha/atom

Geometry as POSCAR:
```
Eu2Al3O8
1.0
-4.495 4.495 4.495
4.495 -4.495 4.495
4.495 4.495 -4.495
O Eu Al
16 4 6
Cartesian
5.264 -1.249 1.249
1.249 3.727 1.249
-1.249 5.264 1.249
3.727 1.249 1.249
1.249 5.264 -1.249
3.550 3.550 3.550
3.246 -0.769 3.246
-0.945 0.945 0.945
1.249 1.249 3.727
-1.249 1.249 5.264
-0.769 3.246 3.246
1.249 -1.249 5.264
3.246 3.246 -0.769
5.264 1.249 -1.249
0.945 0.945 -0.945
0.945 -0.945 0.945
3.161 -3.161 3.161
-3.161 3.161 3.161
1.334 1.334 1.334
3.161 3.161 -3.161
4.495 2.248 0.000
4.495 0.000 2.248
2.248 0.000 4.495
2.248 4.495 0.000
0.000 4.495 2.248
0.000 2.248 4.495
```


1.
Here is a geometry-optimized MnNi5N4 structure from Materials Project. Energies are from PBE.

DFT total energy = -140.5 eV/cell
SG = Pmmn (59)
ΔE_f = -29 meV/atom

Unit cell a=5.814 b=8.512 c=4.208 alpha=90.00 beta=90.00 gamma=90.00
Sites, in units of the cell vectors:
Mn1 0.250 0.250 0.238
Mn2 0.750 0.750 0.762
Ni1 0.037 0.592 0.203
Ni2 0.037 0.908 0.203
Ni3 0.250 0.750 0.681
Ni4 0.463 0.592 0.203
Ni5 0.463 0.908 0.203
Ni6 0.537 0.092 0.797
Ni7 0.537 0.408 0.797
Ni8 0.750 0.250 0.319
Ni9 0.963 0.092 0.797
Ni10 0.963 0.408 0.797
N1 0.026 0.250 0.517
N2 0.250 0.060 0.025
N3 0.250 0.440 0.025
N4 0.474 0.250 0.517
N5 0.526 0.750 0.483
N6 0.750 0.560 0.975
N7 0.750 0.940 0.975
N8 0.974 0.750 0.483

2.
Here is a geometry-optimized MnNi3N3 structure from Materials Project. Energies are from PBE.

DFT total energy = -101.1 eV/cell
SG = P2_1/m (11)
ΔE_f = -20 meV/atom

Unit cell a=7.547 b=3.329 c=7.555 alpha=90.00 beta=119.85 gamma=90.00
Sites, in units of the cell vectors:
Mn1 0.167 0.250 0.333
Mn2 0.833 0.750 0.667
Ni1 0.139 0.250 0.878
Ni2 0.261 0.750 0.639
Ni3 0.379 0.750 0.239
Ni4 0.621 0.250 0.761
Ni5 0.739 0.250 0.361
Ni6 0.861 0.750 0.122
N1 0.098 0.750 0.756
N2 0.257 0.250 0.158
N3 0.341 0.250 0.597
N4 0.659 0.750 0.403
N5 0.743 0.750 0.842
N6 0.902 0.250 0.244

3.
Here is a geometry-optimized MnNiN2 structure from Materials Project. Energies are from PBE.

DFT total energy = -63.3 eV/cell
SG = P6_3/mmc (194)
ΔE_f = -190 meV/atom

Unit cell a=2.620 b=2.620 c=11.985 alpha=90.00 beta=90.00 gamma=120.00
Sites, in units of the cell vectors:
Mn1 0.333 0.667 0.250
Mn2 0.667 0.333 0.750
Ni1 0.000 0.000 0.000
Ni2 0.000 0.000 0.500
N1 0.000 0.000 0.152
N2 0.000 0.000 0.348
N3 0.000 0.000 0.652
N4 0.000 0.000 0.848

4.
Here is a geometry-optimized MnOsN2 structure from Materials Project. Energies are from PBE.

DFT total energy = -144.2 eV/cell
SG = Pna2_1 (33)
ΔE_f = 74 meV/atom

Unit cell a=5.173 b=6.368 c=5.204 alpha=90.00 beta=90.00 gamma=90.00
Sites, in units of the cell vectors:
Mn1 0.129 0.117 0.000
Mn2 0.371 0.617 0.500
Mn3 0.629 0.383 0.000
Mn4 0.871 0.883 0.500
Os1 0.064 0.661 0.008
Os2 0.436 0.161 0.508
Os3 0.564 0.839 0.008
Os4 0.936 0.339 0.508
N1 0.036 0.632 0.388
N2 0.085 0.084 0.354
N3 0.415 0.584 0.854
~~~

Before going any further I would like to highlight the task that you will need to fulfil. Here in the red box is your task. It is asking you of how far you agree to this statement. Here it is clear to see that this is going to be written as an argumentative essay.
You will need to remember the main objective of writing an argumentative essay. It is for you to persuade the reader to understand the points that you are making and to agree with your views. You are writing to influence the reader to think your way.
The topic of discussion for this essay is the statement given by the guest speaker. And the statement given was that ‘Money is the key to happiness’.
On the day of the MUET writing paper, the first thing that you need to do will be to read the question carefully and to make sense of the question.
Let’s find out more about the topic and the task here in this question.
This topic suggests that money is the determining factor to achieve happiness in one’s life. Without money then, the person will not achieve happiness. The person will not be happy.
After understanding the question the next thing you need to do is to take a stand. Decide on whether you agree, disagree or partially agree to this statement.
How do you decide on your stand? Well, you will choose the stand where you have a lot to write about. Choose your side where you have more content points to write about and where you could easily explain you ideas.
In order to decide your stand you are going to brainstorm on the content points first.
These are the content points that you can have for your essay.
- Able to buy things and new experiences
- Brighter future
- Meaningful relationships are key
- Health
Based on the content points that you have come up with you can now make your stand. You then decide to take the middle ground and say that you partially agree to the topic.
You will then choose two points to agree and another one point to disagree.
Writing structure of an argumentative essay
The argumentative essay that you will be writing will be made up of 5 paragraphs. The five paragraphs are as such:
- Paragraph 1
- Introduction
- Paragraph 2
- Reason to agree in topic sentence 1 [TS1]
- Paragraph 3
- Reason to agree in topic sentence 2 [TS2]
- Paragraph 4
- Reason to disagree in topic sentence 3 [TS3]
- Paragraph 5
- Conclusion
So, the structure given here is for the essay where you are going to partially agree.
The three content points would be made up of two content points to show that you agree and the third content point would be one to show that you disagree to the statement.
I normally advise my students to choose the middle ground when writing an argumentative essay. So basically, I encourage my students to take the stand of partially agreeing when writing an argumentative essay.
I encourage them to do this because I believe that writing an argumentative essay where you partially agree shows that you are quite knowledgeable in the topic. Here the students will have to provide both sides of the arguments for and against the topic being discussed.
This certainly shows critical thinking on the student’s part.
However, it is equally fine if a student decides to choose to take a stand to totally agree or to totally disagree on the topic.
Start your essay with an introduction. The stand that you are making in the introduction is that you are partially agreeing to the topic.
- A hook
- Background information related to the topic
- Thesis statement
- Make your stand
Start your introduction with a hook. A hook is something interesting or clever that you say in the start of your essay to attract the reader to read on. Relate this hook to the topic of money being the key to happiness.
Next provide some background information on the topic being discussed. Add in observations that you made regarding money and how it affects people’s lives.
After this you will need to write your thesis statement. A thesis statement summarises your content points to support your argument for why you have chosen to partially agree to the topic.
The last sentence in your introduction will be you making your stand.
The body paragraphs
The body paragraphs contain ideas for or against the topic. This is where you are going to influence the reader to see your point of view from the content points that you present.
Because this essay is going to take the middle stand where you are going to partially agree, the paragraphs are going to be arranged as such.
Content 1 and 2 support the topic
This is how the paragraphs for the content points are going to be written. Content 1 and 2 will be you presenting your arguments on why you agree that money could be the key source of happiness.
This would be how you will write these paragraphs.
- Use a sequence connector like 'firstly, first and foremost' etc.
- Reason to agree in topic sentence 1 [TS1]
- Justify the reason to agree
- Provide evidence with an example
- Close paragraph
Start your first content point with a sequence connector. These are such as ‘First and foremost’ etc. I always tell my students to always have sequence connectors as it will provide your essay with more structure.
After the sequence connector is your topic sentence 1. TS1 is where you will provide your first reason for why you agree that money is key to a person’s happiness.
After stating the reason you will of course need to justify why you said that. Also provide an example for your reason. You will need to tie up your example with the TS1 to ensure that what you have said is relevant to the point you are making.
The last sentence will be the closinig of the paragraph. You can reinstate TS1 here by rephrasing the sentence. Make this sentence sound like it is the closing of the paragraph.
Move on to the second content point after this.
- Use a sequence connector example like moreover, next, in addition etc.
- Reason to agree in topic sentence 2 [TS2]
- Justify the reason to agree
- Provide evidence with an example
- Close paragraph
Start the second content point with a sequence connector. Use a sequence connector that signals the continuation of your points. You can use sequence connectors such as ‘Moreover.., In addition..’ etc.
Using this will tell the reader that the paragraph you are writing is a continuation from the paragraph before and that you are still agreeing to the topic.
Provide your second reason for why your agree to the topic in topic sentence 2. Like the paragraph before provide a rationale for why you agree that money is the key to happiness. And after this add in evidence for why you feel that way.
Lastly have a closing for your paragraph by reinstating your TS2. Again this closing sentence would need to sound like you are ending the point that you are making.
Content 3 contains the counterargument
The third content point contains the counterargument for the topic. When you provide a counterargument for a topic you are presenting a reason to oppose the idea.
- Use a sequence connector like 'Nevertheless., On the other hand.., However..' etc.
- Reason to agree in topic sentence 3 [TS3]
- Justify the reason to agree
- Provide evidence with an example
- Close paragraph
Again, start your paragraph with a sequence connector. Use a sequence connector that signals the contrast of an idea. It is important for you to use one here as you are informing the reader that you are presenting a counterargument of your ideas before.
Use ‘on the other hand or however, to do this. Then add in your reason for why you are disagreeing to the topic. Here you are now saying that you feel money is not the key to happiness and that you are giving another suggestion.
Justify why you feel this way. Provide an example to make your point become clearer. You can mention perhaps about what you can read in the papers of examples of how unhappy the rich and famous could become. This is regardless the factof having so much money.
Finally provide a closing for this paragraph.
Lastly is the conclusion of your essay. This is where you summarize the points that you have given and reinstate your stand on the topic.
- Use a sequence connector like 'In conclusion.., To conclude..' etc.
- State the topic of discussion
- Summarize your content points
- Recap your opinion on the matter [balanced view]
- Close paragraph
Use asequence connector like ‘finally or to conclude’ to signal that this is your concluding paragraph. Next add in the topic of discussion to remind the reader again of the topic.
Provide a summary of the three content points for your essay. It is important that you rephrase your points so that it does not sound like you are repeating yourself.
Next recap your opinion regarding the topic. Present it in such a way that you agree to the topic but to a certain extent only as you also feel that you also disagree to it. Provide a balanced view here.
Lastly give your conclusion an ending.You can mention about a hope perhaps that our society could find that balance of having money and other improtant aspects of life.